Wednesday, October 22, 2008

Sunset No 2

Well, I don't know what's been going on, but I've been trying to attach this photo for 2 days and it just won't play!

Well, it wouldn't play, but now apparently it's OK. Mum must have given permission to play today. Maybe I Google was grounded because it didn't do it's chores properly. I don't care, just check out this pretty picture, it's stunning.

Monday, October 20, 2008

Out of Africa

After that pretty sad post, I just thought of something.

A friend has just returned from South Africa, and he brought back some amazing photos.

I'll post the other sunset in a separate post. I don't know why, but this silly thing won't let me post more than one photo?!?!

Never mind, an excuse for another post!


I'm determined to blog every day through the week.

Trouble is, I'm not sure what to write about! But I have been told by a writer type that if I start to discipline myself and write SOMETHING every day, doesn't matter what, just something, that I will start to get a flow going (sounds a bit like my period, I don't want to do that every week day!).

So here's something. Or nothing. Whatever.

Sunday, October 19, 2008

Lazy Sunday

I had a lovely day on Sunday. I ran around like a chook with it's head cut off on Saturday, driving the monster to a drama workshop (like she needs help there!) and to work (proud mamma!!) and doing all that boring housey stuff. Necessary evil, but there it is.

Then I was invited to a 40th birthday party on Saturday night. Being the party animal that I am, of course I said yes & was off, with the tent packed in the car (in case of drunken excess, sensible pissedness, you know), sleeping bags, warm PJ's (it was out in cattle country, it sometimes drops below 20 degrees out there, that's cold for us tropical cane toads). Once I got there, I wanted to go home. I needed a quiet weekend at home. I just seem to have a problem with saying "NO". I think I get flattered that someone wants to play with me (how pathetic). Can you tell I wasn't the popular kid at school?

Anyway, we were back home by 10.30pm. Usually the time I get started, but I was very happy to be home. So were my puppies. I still have my black fluffy Zoe, we're still hanging in there. As long as I don't take her out of her comfort zone she's all good. And I can relate to that, I like hanging in my comfort zone when I'm feeling fragile too.

So I woke up on Sunday morning in a state of mild panic. I've had so much on lately that I didn't know what to do with myself, the housework was done and no-one was expecting me anywhere, ALL DAY!!!! So I got up & grabbed a ciggy & my book & laid back down for a couple of hours. I even had a cat nap in there. LUXURY. Then I got up, walked in circles for a bit, threw the dog's toys around the yard for a while, dyed my hair, shaved my legs, tormented the kid & watched a really crap old movie on TV. Just what I needed. To top it off, my cousin & his partner invited us out to their place for a quiet family BBQ, so off we went, to watch the sunset through the gum trees & listening to the birds singing goodnight. BLISS.

I need to say no more often and have a few more Sundays like yesterday.

Thursday, October 16, 2008

It's All About ME!!!

Crystal structures that have nothing to do with the article:
<<<
[1]
The following is a DFT calculation (PBE-GGA) of a relaxed structure of LiGa7Pd2.

The value obtained for the energy of formation is -0.12 eV/atom.

The structure belongs to space group Cmmm (No. 65); the cell edges are 7.9867, 11.4286 and 4.8214 Å and the angles 90.00°, 90.00° and 90.00°. The asymmetric unit holds Li at (0.0000, 0.0000, 0.0000), Ga at (0.0000, 0.2761, 0.0000), Ga at (0.0000, 0.5000, 0.5000), Ga at (0.1950, 0.1123, 0.5000) and Pd at (0.0000, 0.2870, 0.5000).

[2]
The following is a DFT calculation (PBE-GGA) of a relaxed structure of SrCa14Pr.

The value obtained for the energy of formation is 0.03 eV/atom.

The structure belongs to space group Amm2 (No. 38); the cell edges are 12.8035, 7.7954 and 13.5278 Å and the angles 90.00°, 90.00° and 90.00°. The asymmetric unit holds Sr at (0.0000, 0.0000, 0.0000), Ca at (0.0000, 0.2489, 0.2500), Ca at (0.2462, 0.0000, 0.6642), Ca at (0.2500, 0.2461, 0.4156), Ca at (0.2523, 0.0000, 0.1664), Ca at (0.5000, 0.0000, 0.3311), Ca at (0.5000, 0.0000, 0.8309), Ca at (0.5000, 0.2505, 0.0818) and Pr at (0.0000, 0.0000, 0.5000).

[3]
The following is a DFT calculation (PBE-GGA) of a relaxed structure of CePmCd3.

The value obtained for the energy of formation is -0.25 eV/atom. The polymorph energy (0 for the lowest one) is 0 meV/atom.

The structure belongs to space group Cmcm (No. 63); the cell edges are 3.3819, 30.4288 and 5.0888 Å and the angles 90.00°, 90.00° and 90.00°. The asymmetric unit holds Ce at (0.0000, 0.0734, 0.2500), Pm at (0.0000, 0.2140, 0.7500), Cd at (0.0000, 0.3267, 0.7500), Cd at (0.0000, 0.3796, 0.2500) and Cd at (0.0000, 0.4762, 0.2500).

[4]
The following is a DFT calculation (PBE-GGA) of a relaxed structure of TaBeZn2P.

The value obtained for the energy of formation is 0.70 eV/atom.

The structure belongs to space group P4/mmm (No. 123); the cell edges are 4.2217, 4.2217 and 4.1764 Å and the angles 90.00°, 90.00° and 90.00°. The asymmetric unit holds Ta at (0.0000, 0.0000, 0.0000), Be at (0.5000, 0.5000, 0.5000), Zn at (0.0000, 0.5000, 0.5000) and P at (0.5000, 0.5000, 0.0000).

[5]
The following is a DFT calculation (PBE-GGA) of a relaxed structure of FeOs2Rh.

The value obtained for the energy of formation is 0.13 eV/atom. The polymorph energy (0 for the lowest one) is 56 meV/atom.

The structure belongs to space group R-3m (No. 166, hexagonal axes); the cell edges are 2.6970, 2.6970 and 26.1133 Å and the angles 90.00°, 90.00° and 120.00°. The asymmetric unit holds Fe at (0.0000, 0.0000, 0.0000), Os at (0.0000, 0.0000, 0.2527) and Rh at (0.0000, 0.0000, 0.5000).

[6]
The following is a DFT calculation (PBE-GGA) of a relaxed structure of Ac2MnGa7.

The value obtained for the energy of formation is -0.43 eV/atom.
>>>

So, I've been spurred on by reading other people's blogs recently. It's reminded me why I started this journey, I'd kind of forgotten & gotten lazy.

This blog is all about ME. Me and my life, my loves, my people and my places. It is something for me to express myself in. I think that scares me a little bit. I think that might even be why I stopped for a bit. I didn't know how to express myself. Something many would find unbelievable, as I can be a rather loud person who talks LOTS.

But here goes, I'm going to try to discipline myself to blog at least 3 times a week to get myself into the habit. I need this, I internalise too much stuff & become a bit of a basket case sometimes and that's not a good thing, for me or my monster. How can I teach her to be a whole person, happy with her decisions and living her life to the fullest when I don't? Monkey see, monkey do. Scary.

I don't even know if I want a huge following (optimistic, aint I?!?!), I just want to play.

Anyway, this is just the start, although it is Friday arvo & I don't have the internet hooked up at home (has to be some perks at work) so I won't be able to post until Monday again. But that's OK, I'm going to TRY to blog 3 times a week, if it doesn't happen, I'm not going to crucify myself. There's enough people out there that'll do that for me.

I've been reading an amazing blog, "reluctantmemsahib", a lady living in the boonies in Africa. I'd set up a link, but I'm still webblog illiterate, I've got a bit more learning to do. Bugger it, if you can find my blog, get on google & look up hers, you don't need a link, stop being lazy! So I can be!! Her writing is great, not too soppy but very real. And the pictures of Africa are out of this world. I'm a bit jealous actually, I want to run away & live in a cave one day and despite all the hardships she goes through (and she puts up with a lot), I'd love to live in the middle of no where. But that's probably because I'm not a pedicure type of lady. I wish I was sometimes, but I can be a bit blokey, you know, don't go all drama queen on me, and so on. My daughter hates that, and I hate that I can't really get into the groove of all that girly stuff either. Although I did just go down the street with a girlfriend to get a kebab for lunch and stopped at a boutique & brought a BEAUTIFUL strapless dress with flowers on it. So maybe I am a bit of a girl, full of contradictions. A man would agree with that comment.

Anyway, as it is Friday arvo, and I run the social club bar at work, I'd better go & stock up the fridges, make sure there's enough coolers & heat up the cocktail frankfurts (to soak up the excess alcohol, sensible alcoholic service here you know). I've had an interesting week at work, so I really NEED that bourbon & coke. So everyone have a good weekend, I know I will!